Entry 1:
Material: Re3SiTc
Method: DFT, PBE
State: relaxed

Unit cell a=4.6670 b=4.6670 c=4.6670 alpha=90.00 beta=90.00 gamma=90.00
Last column: nearest neighbours and their distance in Å.
Space group Pm-3m (No. 221)
Unique sites:
Re 0.0000 0.0000 0.5000 (multiplicity 3)  2 Tc 2.33
Si 0.5000 0.5000 0.5000 (multiplicity 1)  12 Re 3.30
Tc 0.0000 0.0000 0.0000 (multiplicity 1)  6 Re 2.33

Results
- crystal system = cubic
- formation energy from raw total energies (meV per atom) = 2299.5
- density (g/cm3) = 11.19


Entry 2:
Material: ReSiTc2
Method: DFT, PBE
State: relaxed

Unit cell a=5.9287 b=5.9287 c=9.1384 alpha=90.00 beta=90.00 gamma=90.00
Last column: nearest neighbours and their distance in Å.
Space group I-42d (No. 122)
Unique sites:
Re 0.0000 0.0000 0.0000 (multiplicity 4)  4 Tc 2.41
Si 0.0000 0.0000 0.5000 (multiplicity 4)  4 Tc 2.37
Tc 0.2445 0.2500 0.6250 (multiplicity 8)  2 Si 2.37, 2 Re 2.41

Results
- crystal system = tetragonal
- formation energy from raw total energies (meV per atom) = 1041.9
- density (g/cm3) = 8.48


Entry 3:
Material: ReSi2Tc
Method: DFT, PBE
State: relaxed

Unit cell a=2.9868 b=4.8604 c=7.7610 alpha=90.00 beta=90.00 gamma=90.00
Last column: nearest neighbours and their distance in Å.
Space group Cmmm (No. 65)
Unique sites:
Re 0.0000 0.0000 0.0000 (multiplicity 2)  4 Si 2.46
Si 0.0000 0.5000 0.2521 (multiplicity 4)  2 Tc 2.44, 2 Re 2.46
Tc 0.0000 0.0000 0.5000 (multiplicity 2)  4 Si 2.44

Results
- crystal system = orthorhombic
- formation energy from raw total energies (meV per atom) = 0.9
- density (g/cm3) = 10.03


Entry 4:
Material: ReSi2Tc
Method: DFT, PBE
State: relaxed

Unit cell a=2.8146 b=3.8341 c=5.2522 alpha=90.00 beta=91.87 gamma=90.00
Last column: nearest neighbours and their distance in Å.
Space group P2/m (No. 10)
Unique sites:
Re 0.0000 0.0000 0.0000 (multiplicity 1)  4 Si 2.41
Si 0.0979 0.5000 0.7271 (multiplicity 2)  2 Re 2.41, 1 Si 2.43, 2 Tc 2.54
Tc 0.5000 0.0000 0.5000 (multiplicity 1)  8 Si 2.54-2.79, 2 Tc 2.81

Results
- crystal system = monoclinic
- formation energy from raw total energies (meV per atom) = -6.1
- density (g/cm3) = 9.98


Entry 5:
Material: ReSiTc2
Method: DFT, PBE
State: relaxed

Unit cell a=2.8055 b=2.8055 c=25.1278 alpha=90.00 beta=90.00 gamma=120.00
Last column: nearest neighbours and their distance in Å.
Space group R-3m (No. 166, hexagonal axes)
Unique sites:
Re 0.0000 0.0000 0.0000 (multiplicity 3)  6 Tc 2.71, 6 Re 2.81
Si 0.0000 0.0000 0.5000 (multiplicity 3)  6 Tc 2.58, 6 Si 2.81
Tc 0.0000 0.0000 0.2467 (multiplicity 6)  3 Si 2.58, 3 Re 2.71, 6 Tc 2.81

Results
- crystal system = trigonal
- formation energy from raw total energies (meV per atom) = -76.1
- density (g/cm3) = 11.93


Entry 6:
Material: ReSiTc2
Method: DFT, PBE
State: relaxed

Unit cell a=9.6577 b=2.9516 c=4.3690 alpha=90.00 beta=116.81 gamma=90.00
Last column: nearest neighbours and their distance in Å.
Space group C2/m (No. 12)
Unique sites:
Re 0.0000 0.0000 0.0000 (multiplicity 2)  4 Si 2.64, 4 Tc 2.75, 2 Re 2.95
Si 0.0000 0.5000 0.5000 (multiplicity 2)  4 Tc 2.48, 4 Re 2.64
Tc 0.2310 0.0000 0.7310 (multiplicity 4)  2 Si 2.48, 4 Tc 2.66, 2 Re 2.75

Results
- crystal system = monoclinic
- formation energy from raw total energies (meV per atom) = -194.0
- density (g/cm3) = 12.26

The reader should say how many lines of the listing further above hold the word "group", as a bare number.

6